Could you restate only the lines below with the word "frac_coords" in them?
<<<
1.
{"formula": "PuCl2", "functional": "PBE-GGA", "state": "relaxed", "cell": [[6.8369, 0.0000, 0.0000], [0.0000, 6.8369, 0.0000], [0.0000, 0.0000, 4.0606]], "species": ["Pu", "Pu", "Cl", "Cl", "Cl", "Cl"], "frac_coords": [[0.0000, 0.0000, 0.0000], [0.5000, 0.5000, 0.5000], [0.2049, 0.2049, 0.5000], [0.2951, 0.7049, 0.0000], [0.7049, 0.2951, 0.0000], [0.7951, 0.7951, 0.5000]], "delta_e_f_kj_per_mol_atoms": -209.22}


2.
{"formula": "KZrPCO7", "functional": "PBE-GGA", "state": "relaxed", "cell": [[5.8625, 0.0000, 0.0000], [0.0000, 6.7141, 0.0000], [-0.1346, 0.0000, 10.0497]], "species": ["K", "K", "Zr", "Zr", "P", "P", "C", "C", "O", "O", "O", "O", "O", "O", "O", "O", "O", "O", "O", "O", "O", "O"], "frac_coords": [[0.2466, 0.0000, 0.2178], [0.7534, 0.5000, 0.7822], [0.2778, 0.1752, 0.6523], [0.7222, 0.6752, 0.3477], [0.2286, 0.6815, 0.5502], [0.7714, 0.1815, 0.4498], [0.2223, 0.2206, 0.9057], [0.7777, 0.7206, 0.0943], [0.0197, 0.1818, 0.5047], [0.0517, 0.2025, 0.8150], [0.1951, 0.2442, 0.0255], [0.2685, 0.8663, 0.6396], [0.2708, 0.4945, 0.6357], [0.3960, 0.6893, 0.4323], [0.4256, 0.2100, 0.8451], [0.5744, 0.7100, 0.1549], [0.6040, 0.1893, 0.5677], [0.7292, 0.9945, 0.3643], [0.7315, 0.3663, 0.3604], [0.8049, 0.7442, 0.9745], [0.9483, 0.7025, 0.1850], [0.9803, 0.6818, 0.4953]], "delta_e_f_kj_per_mol_atoms": -266.50, "magmom_total_mub_per_fu": 0.000, "piezo_max_c_m2": 0.65}


3.
{"formula": "Ba4PrDyCu6O14", "functional": "PBE-GGA", "state": "relaxed", "cell": [[3.8783, 0.0000, 0.0000], [0.0000, 3.9427, 0.0000], [0.0000, 0.0000, 23.6671]], "species": ["Ba", "Ba", "Ba", "Ba", "Pr", "Dy", "Cu", "Cu", "Cu", "Cu", "Cu", "Cu", "O", "O", "O", "O", "O", "O", "O", "O", "O", "O", "O", "O", "O", "O"], "frac_coords": [[0.0000, 0.0000, 0.1602], [0.0000, 0.0000, 0.3403], [0.0000, 0.0000, 0.6597], [0.0000, 0.0000, 0.8398], [0.0000, 0.0000, 0.0000], [0.0000, 0.0000, 0.5000], [0.5000, 0.5000, 0.0766], [0.5000, 0.5000, 0.2501], [0.5000, 0.5000, 0.4254], [0.5000, 0.5000, 0.5746], [0.5000, 0.5000, 0.7499], [0.5000, 0.5000, 0.9234], [0.0000, 0.5000, 0.0648], [0.0000, 0.5000, 0.4396], [0.0000, 0.5000, 0.5604], [0.0000, 0.5000, 0.9352], [0.5000, 0.0000, 0.0652], [0.5000, 0.0000, 0.2503], [0.5000, 0.0000, 0.4393], [0.5000, 0.0000, 0.5607], [0.5000, 0.0000, 0.7497], [0.5000, 0.0000, 0.9348], [0.5000, 0.5000, 0.1707], [0.5000, 0.5000, 0.3297], [0.5000, 0.5000, 0.6703], [0.5000, 0.5000, 0.8293]], "delta_e_f_kj_per_mol_atoms": -208.94, "magmom_total_mub_per_fu": 0.000}


# 1
Entry from the Materials Project database: a geometry-optimized SrWO4 structure (r2SCAN).

Cell: 5.440 5.440 7.102 Å, 112.52 112.52 90.02°
Element x y z (fractional)
1 Sr 0.625 0.875 0.250
2 Sr 0.375 0.125 0.750
3 W 0.125 0.375 0.250
4 W 0.875 0.625 0.750
5 O 0.194 0.566 0.916
6 O 0.350 0.694 0.416
7 O 0.066 0.222 0.416
8 O 0.722 0.850 0.916
9 O 0.278 0.150 0.084
10 O 0.934 0.778 0.584
11 O 0.650 0.306 0.584
12 O 0.806 0.434 0.084

Summary:
Total moment = 0.000 μB/atom
Energy relative to the elements = -2.8563 eV/atom
V = 176.7 Å³ per cell


# 2
Entry from the Materials Project database: a geometry-optimized Sr2Zr7O16 structure (r2SCAN).

Cell: 9.689 9.689 9.689 Å, 38.68 38.68 38.68°
Element x y z (fractional)
1 Sr 0.334 0.334 0.334
2 Sr 0.666 0.666 0.666
3 Zr 0.486 0.745 0.113
4 Zr 0.255 0.887 0.514
5 Zr 0.887 0.514 0.255
6 Zr 0.000 0.000 0.000
7 Zr 0.113 0.486 0.745
8 Zr 0.745 0.113 0.486
9 Zr 0.514 0.255 0.887
10 O 0.322 0.768 0.036
11 O 0.587 0.850 0.153
12 O 0.150 0.847 0.413
13 O 0.232 0.964 0.678
14 O 0.964 0.678 0.232
15 O 0.847 0.413 0.150
16 O 0.763 0.763 0.763
17 O 0.572 0.572 0.572
18 O 0.237 0.237 0.237
19 O 0.428 0.428 0.428
20 O 0.153 0.587 0.850
21 O 0.036 0.322 0.768
22 O 0.768 0.036 0.322
23 O 0.850 0.153 0.587
24 O 0.413 0.150 0.847
25 O 0.678 0.232 0.964

Summary:
Total moment = 0.000 μB/atom
Energy relative to the elements = -3.7176 eV/atom
V = 319.4 Å³ per cell


# 3
Entry from the Materials Project database: a geometry-optimized Ta2O5 structure (r2SCAN).
>>>
{"formula": "PuCl2", "functional": "PBE-GGA", "state": "relaxed", "cell": [[6.8369, 0.0000, 0.0000], [0.0000, 6.8369, 0.0000], [0.0000, 0.0000, 4.0606]], "species": ["Pu", "Pu", "Cl", "Cl", "Cl", "Cl"], "frac_coords": [[0.0000, 0.0000, 0.0000], [0.5000, 0.5000, 0.5000], [0.2049, 0.2049, 0.5000], [0.2951, 0.7049, 0.0000], [0.7049, 0.2951, 0.0000], [0.7951, 0.7951, 0.5000]], "delta_e_f_kj_per_mol_atoms": -209.22}
{"formula": "KZrPCO7", "functional": "PBE-GGA", "state": "relaxed", "cell": [[5.8625, 0.0000, 0.0000], [0.0000, 6.7141, 0.0000], [-0.1346, 0.0000, 10.0497]], "species": ["K", "K", "Zr", "Zr", "P", "P", "C", "C", "O", "O", "O", "O", "O", "O", "O", "O", "O", "O", "O", "O", "O", "O"], "frac_coords": [[0.2466, 0.0000, 0.2178], [0.7534, 0.5000, 0.7822], [0.2778, 0.1752, 0.6523], [0.7222, 0.6752, 0.3477], [0.2286, 0.6815, 0.5502], [0.7714, 0.1815, 0.4498], [0.2223, 0.2206, 0.9057], [0.7777, 0.7206, 0.0943], [0.0197, 0.1818, 0.5047], [0.0517, 0.2025, 0.8150], [0.1951, 0.2442, 0.0255], [0.2685, 0.8663, 0.6396], [0.2708, 0.4945, 0.6357], [0.3960, 0.6893, 0.4323], [0.4256, 0.2100, 0.8451], [0.5744, 0.7100, 0.1549], [0.6040, 0.1893, 0.5677], [0.7292, 0.9945, 0.3643], [0.7315, 0.3663, 0.3604], [0.8049, 0.7442, 0.9745], [0.9483, 0.7025, 0.1850], [0.9803, 0.6818, 0.4953]], "delta_e_f_kj_per_mol_atoms": -266.50, "magmom_total_mub_per_fu": 0.000, "piezo_max_c_m2": 0.65}
{"formula": "Ba4PrDyCu6O14", "functional": "PBE-GGA", "state": "relaxed", "cell": [[3.8783, 0.0000, 0.0000], [0.0000, 3.9427, 0.0000], [0.0000, 0.0000, 23.6671]], "species": ["Ba", "Ba", "Ba", "Ba", "Pr", "Dy", "Cu", "Cu", "Cu", "Cu", "Cu", "Cu", "O", "O", "O", "O", "O", "O", "O", "O", "O", "O", "O", "O", "O", "O"], "frac_coords": [[0.0000, 0.0000, 0.1602], [0.0000, 0.0000, 0.3403], [0.0000, 0.0000, 0.6597], [0.0000, 0.0000, 0.8398], [0.0000, 0.0000, 0.0000], [0.0000, 0.0000, 0.5000], [0.5000, 0.5000, 0.0766], [0.5000, 0.5000, 0.2501], [0.5000, 0.5000, 0.4254], [0.5000, 0.5000, 0.5746], [0.5000, 0.5000, 0.7499], [0.5000, 0.5000, 0.9234], [0.0000, 0.5000, 0.0648], [0.0000, 0.5000, 0.4396], [0.0000, 0.5000, 0.5604], [0.0000, 0.5000, 0.9352], [0.5000, 0.0000, 0.0652], [0.5000, 0.0000, 0.2503], [0.5000, 0.0000, 0.4393], [0.5000, 0.0000, 0.5607], [0.5000, 0.0000, 0.7497], [0.5000, 0.0000, 0.9348], [0.5000, 0.5000, 0.1707], [0.5000, 0.5000, 0.3297], [0.5000, 0.5000, 0.6703], [0.5000, 0.5000, 0.8293]], "delta_e_f_kj_per_mol_atoms": -208.94, "magmom_total_mub_per_fu": 0.000}